== Data ==
┌──
Record 1
83
Properties=species:S:1:pos:R:3 method="wB97M-V/def2-TZVPD" s_squared=3.759 e_above_lowest_kcal_mol=19.4 gap_ev="8.42 / 8.50" e_lumo_ev="-5.433 / -5.334" spin_multiplicity=4 homo_energy_ev="-13.86 / -13.83" charge=+2 molar_mass_g_mol=581.47
V 10.5268 8.4575 10.4802
N 9.3528 6.6454 10.9911
C 9.8678 6.2088 12.3234
C 10.2690 7.4082 13.2621
N 11.1065 8.4372 12.6431
C 12.5515 8.1485 12.6954
C 13.0248 7.1429 11.6993
N 12.4362 7.4616 10.3392
H 8.3668 6.8869 10.9661
H 9.5784 5.9332 10.2918
H 10.7228 5.5598 12.1774
H 9.1777 5.6037 12.9257
H 10.7472 7.0233 14.1913
H 9.3520 7.8839 13.5183
H 11.0127 9.3328 13.1601
H 12.9288 7.8238 13.6934
H 13.0667 9.1309 12.5240
H 12.6676 6.1448 11.9766
H 14.1184 7.0459 11.6929
H 12.4202 6.6286 9.7576
H 13.1227 8.0519 9.8501
C 6.1915 12.6229 8.6682
C 6.3087 11.6495 9.7768
C 7.6010 11.8492 10.4893
S 8.1687 10.5460 11.5897
O 8.6644 9.4170 10.7053
C 6.6454 10.0191 12.4194
C 5.7212 9.1612 11.5986
C 4.9761 8.1584 12.4867
H 5.2636 12.5697 8.1398
H 6.9652 12.4424 7.8834
H 6.3588 13.6372 9.0237
H 6.2397 10.6265 9.3620
H 5.5055 11.7410 10.5167
H 7.5789 12.7393 11.1293
H 8.4282 11.9633 9.7515
H 6.2370 10.9013 12.8824
H 6.9955 9.3422 13.1601
H 6.2777 8.5910 10.8349
H 5.0175 9.8025 11.1110
H 5.6108 7.4126 12.9624
H 4.1834 7.6707 11.8982
H 4.3826 8.7080 13.2589
C 11.1128 5.6398 7.1337
C 11.4439 6.9657 6.4520
C 11.1146 6.9168 4.9679
C 12.9080 7.3632 6.5651
Sb 10.1612 8.4531 7.5443
C 8.1136 7.9979 6.9865
C 7.9580 7.1985 5.6570
C 7.5994 7.2061 8.1763
C 7.2686 9.2642 6.9173
C 10.7861 10.4901 6.8780
C 10.5190 10.7470 5.3624
C 12.2576 10.6048 7.1695
C 9.9976 11.5352 7.7084
H 11.6428 4.8114 6.6739
H 10.0442 5.4199 7.0373
H 11.3672 5.6864 8.1813
H 11.8407 6.2543 4.5174
H 11.1255 7.8805 4.4896
H 10.1100 6.4965 4.8032
H 13.5656 6.5703 6.1807
H 13.2686 7.6164 7.5811
H 13.1326 8.1921 5.8867
H 8.4491 6.2132 5.7002
H 8.3669 7.8132 4.8075
H 6.9173 7.0523 5.4405
H 8.2235 6.3116 8.3311
H 6.5722 6.8944 8.0123
H 7.6434 7.8120 9.0641
H 7.6592 9.8986 6.1603
H 7.1938 9.7757 7.8582
H 6.2192 9.0079 6.6157
H 11.0662 10.0698 4.7052
H 10.7194 11.7652 5.1094
H 9.4669 10.6300 5.1492
H 12.8146 10.1625 6.3340
H 12.5634 10.1271 8.1236
H 12.5039 11.6817 7.2202
H 8.9394 11.4740 7.5368
H 10.3451 12.5234 7.3209
H 10.1800 11.4468 8.7697


Record 2
32
Properties=species:S:1:pos:R:3 method="wB97M-V/def2-TZVPD" s_squared=2.005 e_above_lowest_kcal_mol=47.7 gap_ev="5.75 / 6.91" e_lumo_ev="0.885 / -1.601" spin_multiplicity=3 homo_energy_ev="-4.87 / -8.51" charge=0 molar_mass_g_mol=220.26
C 2.5924 3.7444 -4.0396
C 2.1985 4.9148 -3.3403
C -1.5690 0.4910 0.2700
C -1.7338 1.7959 0.8390
C 2.3067 2.6198 -3.2848
C 1.7178 4.5147 -2.1122
C -0.3706 0.5386 -0.3663
C -0.6700 2.5636 0.5092
C -2.2132 -2.9942 1.2629
C -1.2683 -4.4509 -0.5793
C 0.0598 -2.7362 0.6127
C -1.0845 -3.3972 0.4363
N 1.7368 3.1049 -2.0438
N 0.2137 1.7819 -0.1800
P 1.8901 2.0192 -0.7316
H 2.7613 3.6899 -5.0860
H 2.3851 5.9619 -3.6921
H -2.2622 -0.3429 0.3325
H -2.6953 2.0883 1.1568
H 2.3004 1.5616 -3.6075
H 1.1235 5.1390 -1.4217
H 0.1908 -0.2509 -0.8383
H -0.5148 3.5668 0.8154
H -2.9033 -2.3857 0.7814
H -2.6166 -3.9185 1.6467
H -1.9247 -2.2829 2.1081
H -0.9380 -5.5091 -0.2285
H -0.8860 -4.0483 -1.5499
H -2.3055 -4.4937 -0.8960
H 0.2076 -2.0154 1.3963
H 0.9043 -2.7024 -0.1185
H 2.0804 2.8847 0.3883


Record 3
38
Properties=species:S:1:pos:R:3 method="wB97M-V/def2-TZVPD" gap_ev=5.11 e_lumo_ev=1.591 homo_energy_ev=-3.52 charge=-1 molar_mass_g_mol=383.00
C 0.7779 2.5577 1.9791
C -0.5898 1.9811 2.4887
N -1.5330 2.7255 2.9106
C -0.7700 0.4157 2.4239
C -0.1470 -0.0930 1.0587
C 1.2031 -0.6601 1.1595
C 1.8657 -1.1597 -0.0456
B 3.3500 -1.7311 0.1066
O 3.7301 -3.0287 -0.2466
O 4.3867 -0.9141 0.6730
C 1.1596 -1.1244 -1.3175
C -0.2053 -0.5455 -1.3899
C -0.8784 0.0006 -0.2158
C -2.2883 0.6675 -0.1863
C -3.3564 -0.4425 0.2080
F -2.5892 1.4093 -1.3346
C -0.9040 -0.5172 -2.7937
O -2.0734 -0.7232 -2.9664
C 0.0783 -0.2446 -3.9837
C 1.3204 -0.7944 -3.9177
C 1.7527 -1.6359 -2.6698
O 2.4520 -2.6107 -2.7840
└──
== Work order ==
What is needed: transcribe the lines earlier on up to the one that holds "2.5924 3.7444", that line included.
== Reply ==
Record 1
83
Properties=species:S:1:pos:R:3 method="wB97M-V/def2-TZVPD" s_squared=3.759 e_above_lowest_kcal_mol=19.4 gap_ev="8.42 / 8.50" e_lumo_ev="-5.433 / -5.334" spin_multiplicity=4 homo_energy_ev="-13.86 / -13.83" charge=+2 molar_mass_g_mol=581.47
V 10.5268 8.4575 10.4802
N 9.3528 6.6454 10.9911
C 9.8678 6.2088 12.3234
C 10.2690 7.4082 13.2621
N 11.1065 8.4372 12.6431
C 12.5515 8.1485 12.6954
C 13.0248 7.1429 11.6993
N 12.4362 7.4616 10.3392
H 8.3668 6.8869 10.9661
H 9.5784 5.9332 10.2918
H 10.7228 5.5598 12.1774
H 9.1777 5.6037 12.9257
H 10.7472 7.0233 14.1913
H 9.3520 7.8839 13.5183
H 11.0127 9.3328 13.1601
H 12.9288 7.8238 13.6934
H 13.0667 9.1309 12.5240
H 12.6676 6.1448 11.9766
H 14.1184 7.0459 11.6929
H 12.4202 6.6286 9.7576
H 13.1227 8.0519 9.8501
C 6.1915 12.6229 8.6682
C 6.3087 11.6495 9.7768
C 7.6010 11.8492 10.4893
S 8.1687 10.5460 11.5897
O 8.6644 9.4170 10.7053
C 6.6454 10.0191 12.4194
C 5.7212 9.1612 11.5986
C 4.9761 8.1584 12.4867
H 5.2636 12.5697 8.1398
H 6.9652 12.4424 7.8834
H 6.3588 13.6372 9.0237
H 6.2397 10.6265 9.3620
H 5.5055 11.7410 10.5167
H 7.5789 12.7393 11.1293
H 8.4282 11.9633 9.7515
H 6.2370 10.9013 12.8824
H 6.9955 9.3422 13.1601
H 6.2777 8.5910 10.8349
H 5.0175 9.8025 11.1110
H 5.6108 7.4126 12.9624
H 4.1834 7.6707 11.8982
H 4.3826 8.7080 13.2589
C 11.1128 5.6398 7.1337
C 11.4439 6.9657 6.4520
C 11.1146 6.9168 4.9679
C 12.9080 7.3632 6.5651
Sb 10.1612 8.4531 7.5443
C 8.1136 7.9979 6.9865
C 7.9580 7.1985 5.6570
C 7.5994 7.2061 8.1763
C 7.2686 9.2642 6.9173
C 10.7861 10.4901 6.8780
C 10.5190 10.7470 5.3624
C 12.2576 10.6048 7.1695
C 9.9976 11.5352 7.7084
H 11.6428 4.8114 6.6739
H 10.0442 5.4199 7.0373
H 11.3672 5.6864 8.1813
H 11.8407 6.2543 4.5174
H 11.1255 7.8805 4.4896
H 10.1100 6.4965 4.8032
H 13.5656 6.5703 6.1807
H 13.2686 7.6164 7.5811
H 13.1326 8.1921 5.8867
H 8.4491 6.2132 5.7002
H 8.3669 7.8132 4.8075
H 6.9173 7.0523 5.4405
H 8.2235 6.3116 8.3311
H 6.5722 6.8944 8.0123
H 7.6434 7.8120 9.0641
H 7.6592 9.8986 6.1603
H 7.1938 9.7757 7.8582
H 6.2192 9.0079 6.6157
H 11.0662 10.0698 4.7052
H 10.7194 11.7652 5.1094
H 9.4669 10.6300 5.1492
H 12.8146 10.1625 6.3340
H 12.5634 10.1271 8.1236
H 12.5039 11.6817 7.2202
H 8.9394 11.4740 7.5368
H 10.3451 12.5234 7.3209
H 10.1800 11.4468 8.7697


Record 2
32
Properties=species:S:1:pos:R:3 method="wB97M-V/def2-TZVPD" s_squared=2.005 e_above_lowest_kcal_mol=47.7 gap_ev="5.75 / 6.91" e_lumo_ev="0.885 / -1.601" spin_multiplicity=3 homo_energy_ev="-4.87 / -8.51" charge=0 molar_mass_g_mol=220.26
C 2.5924 3.7444 -4.0396